Excerpt:
********
(1)
The following is a DFT calculation (ωB97M-V/def2-TZVPD) of a structure of composition C42H112O14 in a non-equilibrium geometry.

The HOMO energy is -9.403 eV. The value obtained for the relative energy (zero: lowest compared OMol25 entry of this formula, charge and spin) is 64.2 kcal per mole. The total energy is -2720.68700 a.u. The frontier orbital gap comes out at 9.76 eV. The LUMO energy comes out at 0.4 eV.

Geometry as ORCA input:
```
! wB97M-V def2-TZVPD RIJCOSX def2/J DEFGRID3
* xyz 0 1
O 1.256 -0.992 -3.767
O -4.820 -5.897 -0.113
O -1.487 -1.745 -4.284
O 3.954 -1.390 -0.481
O -0.573 2.686 5.468
O 1.681 -3.922 -4.664
O -3.330 -0.364 -2.727
O 3.499 -0.796 6.169
O 3.186 6.626 -1.288
O -3.884 4.155 2.616
O -2.237 1.906 4.258
O 1.537 -3.041 5.011
O 1.689 0.013 -0.846
O -3.174 2.394 -3.469
C -0.177 -2.732 3.310
C 2.128 -3.439 2.667
C -1.790 2.511 -3.111
C -4.830 -0.805 -0.913
C 4.988 0.708 0.121
C -1.095 3.454 -4.092
C 0.249 -4.611 -2.908
C -4.417 -1.161 -2.335
C -2.805 4.636 1.852
C 0.631 4.710 5.494
C 4.018 0.168 5.246
C 5.456 -0.117 4.845
C -4.962 -4.583 1.873
C -3.458 -3.983 -0.005
C 0.713 3.235 5.113
C 1.927 1.315 -3.924
C -4.813 -4.561 0.365
C 5.213 -1.477 1.509
C 0.376 -0.132 -0.255
C 2.209 -0.124 -4.368
C 0.417 0.402 1.164
C -1.466 -1.705 -5.723
C -3.299 -0.003 3.303
C 2.979 0.347 4.125
C 0.750 -4.954 -4.310
C -2.217 5.871 2.520
C -2.046 0.517 3.975
C 3.260 5.217 -1.352
C -0.228 -1.502 -0.557
C 1.058 -3.478 3.757
C 3.622 -0.641 -4.062
C -2.500 -2.681 -6.230
C 5.068 -0.797 0.186
C -1.606 2.985 -1.695
C -5.608 -0.993 -3.291
C -1.820 3.478 1.677
C 1.459 -6.299 -4.354
C 0.907 3.004 3.613
C 3.726 4.706 -2.719
C 1.907 4.591 -0.971
C -1.854 -0.175 5.323
C -1.695 -0.264 -6.148
H -3.467 -2.974 0.426
H -0.238 5.176 5.032
H 1.753 -3.825 -5.618
H -3.217 -3.838 -1.060
H -3.283 0.200 2.227
H -5.814 0.074 -3.407
H -0.172 -3.607 -2.843
H 1.871 -4.113 1.853
H 5.083 -2.555 1.463
H -5.930 -4.939 2.228
H 3.884 -0.457 -3.018
H 0.878 -3.177 5.696
H 1.453 2.624 5.637
H -4.545 -6.512 0.570
H -2.262 2.420 -1.032
H 3.781 -1.693 -4.296
H 6.024 0.644 4.309
H 2.163 2.027 -4.713
H -1.619 2.164 4.950
H -1.756 -0.181 -7.237
H -1.341 1.522 -3.260
H 2.265 -2.421 2.295
H 1.983 0.421 4.559
H 2.519 1.616 -3.060
H 3.091 -3.773 3.059
H -5.601 -3.941 -0.066
H -0.668 -1.379 -3.928
H 1.599 -1.893 -3.817
H -0.022 3.234 -4.106
H 2.178 -6.278 -3.532
H -1.449 3.272 -5.107
H -0.459 -5.336 -2.507
H -3.155 4.914 0.853
H 2.078 -0.218 -5.453
H 0.851 -4.542 3.946
H -3.391 1.454 -3.392
H 3.790 6.929 -0.607
H -0.204 0.611 -0.818
H -3.383 -1.086 3.378
H 3.256 -1.530 5.587
H -6.512 -1.476 -2.915
H -4.130 -2.218 -2.316
H -1.074 -2.836 3.922
H -2.603 -4.557 0.358
H -1.668 -1.241 5.198
H -4.233 0.469 3.609
H 2.983 -0.592 3.562
H -0.594 0.579 1.539
H -2.620 0.141 -5.737
H 4.312 -0.047 -4.669
H -1.002 3.626 0.964
H 4.022 1.144 5.746
H -0.465 -3.046 2.303
H 6.087 -0.358 5.701
H -4.233 -5.302 2.261
H 0.846 1.281 -3.771
H -2.332 2.556 1.413
H -2.701 -0.929 -3.204
H 4.766 5.027 -2.794
H 0.867 -0.232 1.931
H -3.957 -0.611 -0.290
H -2.950 6.671 2.611
H -5.531 0.032 -0.888
H 3.646 3.628 -2.865
H 1.070 -4.576 -2.183
H 3.934 4.798 -0.598
H -0.549 2.832 -1.462
H -0.112 -4.925 -4.983
H 3.176 5.071 -3.590
H -5.374 -1.603 -0.399
H -0.556 -1.470 -1.592
H -2.592 -2.646 -7.315
H 0.919 1.367 1.092
H 0.551 -2.249 -0.363
H -0.984 0.228 5.848
H -1.163 4.518 -3.862
H 1.066 4.957 -1.568
H 4.436 -1.088 2.172
H 0.508 2.023 3.356
H -3.468 -2.469 -5.773
H 0.057 -1.666 3.234
H -1.171 0.371 3.338
H -2.749 -0.034 5.929
H 5.413 -0.996 4.196
H -1.830 5.574 3.497
H -2.231 -3.695 -5.932
H 1.470 0.026 -1.786
H 5.924 -1.022 -0.466
H -1.844 4.039 -1.543
H 1.547 4.888 0.018
H -1.255 3.387 2.607
H 3.205 -0.766 -0.538
H -1.396 6.288 1.928
H -0.601 2.580 6.423
H 0.551 4.752 6.581
H 3.246 1.175 3.470
H -5.426 -1.380 -4.295
H 0.786 -7.148 -4.261
H 6.159 -1.177 1.969
H -3.619 3.485 3.256
H -0.964 -1.846 0.172
H 4.942 0.987 -0.932
H 5.855 1.146 0.623
H 0.328 3.712 3.016
H -4.747 -3.610 2.310
H -0.850 0.356 -5.841
********
What to do:
Your job: retype the whole of the entries further above verbatim.
Solution:
(1)
The following is a DFT calculation (ωB97M-V/def2-TZVPD) of a structure of composition C42H112O14 in a non-equilibrium geometry.

The HOMO energy is -9.403 eV. The value obtained for the relative energy (zero: lowest compared OMol25 entry of this formula, charge and spin) is 64.2 kcal per mole. The total energy is -2720.68700 a.u. The frontier orbital gap comes out at 9.76 eV. The LUMO energy comes out at 0.4 eV.

Geometry as ORCA input:
```
! wB97M-V def2-TZVPD RIJCOSX def2/J DEFGRID3
* xyz 0 1
O 1.256 -0.992 -3.767
O -4.820 -5.897 -0.113
O -1.487 -1.745 -4.284
O 3.954 -1.390 -0.481
O -0.573 2.686 5.468
O 1.681 -3.922 -4.664
O -3.330 -0.364 -2.727
O 3.499 -0.796 6.169
O 3.186 6.626 -1.288
O -3.884 4.155 2.616
O -2.237 1.906 4.258
O 1.537 -3.041 5.011
O 1.689 0.013 -0.846
O -3.174 2.394 -3.469
C -0.177 -2.732 3.310
C 2.128 -3.439 2.667
C -1.790 2.511 -3.111
C -4.830 -0.805 -0.913
C 4.988 0.708 0.121
C -1.095 3.454 -4.092
C 0.249 -4.611 -2.908
C -4.417 -1.161 -2.335
C -2.805 4.636 1.852
C 0.631 4.710 5.494
C 4.018 0.168 5.246
C 5.456 -0.117 4.845
C -4.962 -4.583 1.873
C -3.458 -3.983 -0.005
C 0.713 3.235 5.113
C 1.927 1.315 -3.924
C -4.813 -4.561 0.365
C 5.213 -1.477 1.509
C 0.376 -0.132 -0.255
C 2.209 -0.124 -4.368
C 0.417 0.402 1.164
C -1.466 -1.705 -5.723
C -3.299 -0.003 3.303
C 2.979 0.347 4.125
C 0.750 -4.954 -4.310
C -2.217 5.871 2.520
C -2.046 0.517 3.975
C 3.260 5.217 -1.352
C -0.228 -1.502 -0.557
C 1.058 -3.478 3.757
C 3.622 -0.641 -4.062
C -2.500 -2.681 -6.230
C 5.068 -0.797 0.186
C -1.606 2.985 -1.695
C -5.608 -0.993 -3.291
C -1.820 3.478 1.677
C 1.459 -6.299 -4.354
C 0.907 3.004 3.613
C 3.726 4.706 -2.719
C 1.907 4.591 -0.971
C -1.854 -0.175 5.323
C -1.695 -0.264 -6.148
H -3.467 -2.974 0.426
H -0.238 5.176 5.032
H 1.753 -3.825 -5.618
H -3.217 -3.838 -1.060
H -3.283 0.200 2.227
H -5.814 0.074 -3.407
H -0.172 -3.607 -2.843
H 1.871 -4.113 1.853
H 5.083 -2.555 1.463
H -5.930 -4.939 2.228
H 3.884 -0.457 -3.018
H 0.878 -3.177 5.696
H 1.453 2.624 5.637
H -4.545 -6.512 0.570
H -2.262 2.420 -1.032
H 3.781 -1.693 -4.296
H 6.024 0.644 4.309
H 2.163 2.027 -4.713
H -1.619 2.164 4.950
H -1.756 -0.181 -7.237
H -1.341 1.522 -3.260
H 2.265 -2.421 2.295
H 1.983 0.421 4.559
H 2.519 1.616 -3.060
H 3.091 -3.773 3.059
H -5.601 -3.941 -0.066
H -0.668 -1.379 -3.928
H 1.599 -1.893 -3.817
H -0.022 3.234 -4.106
H 2.178 -6.278 -3.532
H -1.449 3.272 -5.107
H -0.459 -5.336 -2.507
H -3.155 4.914 0.853
H 2.078 -0.218 -5.453
H 0.851 -4.542 3.946
H -3.391 1.454 -3.392
H 3.790 6.929 -0.607
H -0.204 0.611 -0.818
H -3.383 -1.086 3.378
H 3.256 -1.530 5.587
H -6.512 -1.476 -2.915
H -4.130 -2.218 -2.316
H -1.074 -2.836 3.922
H -2.603 -4.557 0.358
H -1.668 -1.241 5.198
H -4.233 0.469 3.609
H 2.983 -0.592 3.562
H -0.594 0.579 1.539
H -2.620 0.141 -5.737
H 4.312 -0.047 -4.669
H -1.002 3.626 0.964
H 4.022 1.144 5.746
H -0.465 -3.046 2.303
H 6.087 -0.358 5.701
H -4.233 -5.302 2.261
H 0.846 1.281 -3.771
H -2.332 2.556 1.413
H -2.701 -0.929 -3.204
H 4.766 5.027 -2.794
H 0.867 -0.232 1.931
H -3.957 -0.611 -0.290
H -2.950 6.671 2.611
H -5.531 0.032 -0.888
H 3.646 3.628 -2.865
H 1.070 -4.576 -2.183
H 3.934 4.798 -0.598
H -0.549 2.832 -1.462
H -0.112 -4.925 -4.983
H 3.176 5.071 -3.590
H -5.374 -1.603 -0.399
H -0.556 -1.470 -1.592
H -2.592 -2.646 -7.315
H 0.919 1.367 1.092
H 0.551 -2.249 -0.363
H -0.984 0.228 5.848
H -1.163 4.518 -3.862
H 1.066 4.957 -1.568
H 4.436 -1.088 2.172
H 0.508 2.023 3.356
H -3.468 -2.469 -5.773
H 0.057 -1.666 3.234
H -1.171 0.371 3.338
H -2.749 -0.034 5.929
H 5.413 -0.996 4.196
H -1.830 5.574 3.497
H -2.231 -3.695 -5.932
H 1.470 0.026 -1.786
H 5.924 -1.022 -0.466
H -1.844 4.039 -1.543
H 1.547 4.888 0.018
H -1.255 3.387 2.607
H 3.205 -0.766 -0.538
H -1.396 6.288 1.928
H -0.601 2.580 6.423
H 0.551 4.752 6.581
H 3.246 1.175 3.470
H -5.426 -1.380 -4.295
H 0.786 -7.148 -4.261
H 6.159 -1.177 1.969
H -3.619 3.485 3.256
H -0.964 -1.846 0.172
H 4.942 0.987 -0.932
H 5.855 1.146 0.623
H 0.328 3.712 3.016
H -4.747 -3.610 2.310
H -0.850 0.356 -5.841